(Wanted)
Now start at the top of the material further down and duplicate each line, ending with the one that has "H48 4.1748".

(Contents)
┌──
No. 1
Entry from the Open Molecules 2025 dataset: C74H70CaGe2N3O4PS4Se as an isolated structure (ωB97M-V/def2-TZVPD).

Last column: Mulliken charge in e.
Cartesian coordinates (Å):
Ca1 -1.3906 -0.0152 -1.3618  1.02
C1 -4.7263 -4.1431 2.0892  -1.26
C2 -3.8067 -3.1478 2.7457  0.77
C3 -2.4881 -3.4633 3.0366  -1.27
C4 -1.6354 -2.5494 3.6454  0.88
C5 -0.2172 -2.9455 3.9658  -1.49
C6 -2.1172 -1.2738 3.9647  0.29
C7 -3.4548 -0.9496 3.7087  1.23
C8 -4.0288 0.4078 4.0219  -1.66
C9 -4.2726 -1.8883 3.0956  -0.66
C10 -1.2262 -0.3226 4.6952  -0.46
C11 -1.4572 -0.2450 6.0689  0.20
C12 -0.6751 0.5502 6.8857  -1.15
C13 0.3773 1.2512 6.3297  0.26
C14 0.6416 1.1778 4.9620  -1.51
C15 -0.1706 0.4087 4.1149  0.56
Ge1 0.0436 0.4535 2.0868  0.41
S1 -1.8984 0.5223 1.1910  -0.73
S2 1.4021 2.1039 1.2553  -0.04
Ge2 2.1997 0.4361 -0.0920  0.04
S3 1.2179 0.1848 -1.9815  -0.75
S4 1.5342 -1.1678 1.4176  -0.29
C16 4.2049 0.5176 -0.3664  -0.37
C17 4.7886 1.6562 -0.9513  -0.24
C18 6.1674 1.7120 -1.1385  0.01
C19 6.9768 0.6410 -0.7989  -1.19
C20 6.4020 -0.5007 -0.2722  -0.17
C21 5.0267 -0.5735 -0.0532  -0.26
C22 4.5028 -1.8474 0.5260  0.18
C23 3.9081 -2.8243 -0.2780  1.90
C24 3.7222 -2.6562 -1.7615  -1.61
C25 3.4803 -4.0132 0.3132  -1.02
C26 3.6350 -4.2539 1.6653  0.92
C27 3.1746 -5.5446 2.2910  -1.55
C28 4.2425 -3.2770 2.4478  -0.70
C29 4.6805 -2.0842 1.8990  0.92
C30 5.3195 -1.0375 2.7737  -1.69
C31 3.9732 2.8050 -1.4413  0.26
C32 3.5509 2.8439 -2.7749  1.16
C33 3.9504 1.7996 -3.7843  -1.27
C34 2.7195 3.8843 -3.1823  -0.97
C35 2.3336 4.8923 -2.3139  0.70
C36 1.3899 5.9788 -2.7503  -1.49
C37 2.8528 4.8886 -1.0231  -1.04
C38 3.6693 3.8633 -0.5755  0.72
C39 4.2534 3.8945 0.8115  -0.70
C40 1.8650 1.9106 4.5209  1.11
C41 1.8192 3.2770 4.2452  0.91
C42 0.5126 4.0233 4.1657  -1.98
C43 3.0035 3.9582 3.9804  -0.07
C44 4.2265 3.3112 3.9835  0.44
C45 5.5099 4.0524 3.7144  -1.76
C46 4.2526 1.9457 4.2443  -0.60
C47 3.0937 1.2317 4.5106  0.72
C48 3.1640 -0.2506 4.7622  -1.78
H1 -4.1699 -4.9995 1.7078  0.32
H2 -5.2587 -3.6830 1.2561  0.04
H3 -5.4687 -4.5100 2.8036  0.38
H4 -2.1043 -4.4434 2.7708  0.26
H5 -0.0988 -4.0285 3.9149  0.52
H6 0.0713 -2.6023 4.9607  0.31
H7 0.4790 -2.5017 3.2522  -0.02
H8 -3.3571 0.9969 4.6417  0.24
H9 -4.9914 0.3112 4.5301  0.52
H10 -4.1828 0.9531 3.0893  0.15
H11 -5.2989 -1.6208 2.8582  0.27
H12 -2.2714 -0.8243 6.4898  0.42
H13 -0.8765 0.6099 7.9491  0.32
H14 1.0198 1.8625 6.9537  0.46
H15 6.5968 2.6039 -1.5816  0.47
H16 8.0475 0.6904 -0.9607  0.37
H17 7.0150 -1.3648 -0.0399  0.51
H18 4.3042 -1.8247 -2.1541  0.23
H19 2.6743 -2.4517 -1.9886  -0.13
H20 4.0070 -3.5697 -2.2883  0.66
H21 2.9983 -4.7592 -0.3110  0.32
H22 2.7142 -6.1944 1.5471  0.35
H23 2.4432 -5.3503 3.0780  0.26
H24 4.0155 -6.0785 2.7402  0.36
H25 4.3599 -3.4481 3.5143  0.27
H26 5.2199 -1.3058 3.8261  0.48
H27 4.8469 -0.0673 2.6092  0.02
H28 6.3816 -0.9301 2.5450  0.50
H29 4.8202 1.2293 -3.4628  0.24
H30 4.1698 2.2653 -4.7469  0.57
H31 3.1228 1.1026 -3.9234  -0.24
H32 2.3445 3.8841 -4.2008  0.30
H33 1.0729 5.8346 -3.7816  0.35
H34 1.8578 6.9634 -2.6613  0.34
H35 0.4933 5.9752 -2.1295  0.31
H36 2.5873 5.6936 -0.3443  0.38
H37 3.9725 4.8155 1.3239  0.46
H38 5.3438 3.8294 0.7712  0.32
H39 3.8879 3.0561 1.4071  -0.29
H40 -0.3227 3.4042 4.4851  0.28
H41 0.3336 4.3177 3.1286  0.26
H42 0.5384 4.9270 4.7783  0.52
H43 2.9575 5.0183 3.7484  0.29
H44 5.3139 5.0930 3.4551  0.36
H45 6.0558 3.5914 2.8888  0.28
H46 6.1590 4.0334 4.5934  0.44
H47 5.2071 1.4278 4.2413  0.37
H48 4.1748 -0.5505 5.0429  0.52
H49 2.8893 -0.7905 3.8513  0.03
H50 2.4721 -0.5557 5.5478  0.55
N1 -2.5847 0.6402 -4.8693  0.31
C49 -3.8521 0.2042 -5.0806  0.43
C50 -4.2690 -0.0135 -6.4091  -0.77
C51 -5.5517 -0.4104 -6.7055  -0.56
C52 -6.4850 -0.5702 -5.6891  -1.11
C53 -6.0851 -0.3768 -4.3801  -0.16
C54 -4.7760 -0.0362 -4.0351  0.31
P1 -4.3405 0.0096 -2.2247  1.38
C55 -5.3287 -1.4669 -1.7084  0.98
C56 -6.6833 -1.4900 -1.3767  -0.41
C57 -7.3225 -2.6925 -1.1104  -0.78
C58 -6.6194 -3.8881 -1.1619  -0.49
└──

(Worked solution)
No. 1
Entry from the Open Molecules 2025 dataset: C74H70CaGe2N3O4PS4Se as an isolated structure (ωB97M-V/def2-TZVPD).

Last column: Mulliken charge in e.
Cartesian coordinates (Å):
Ca1 -1.3906 -0.0152 -1.3618  1.02
C1 -4.7263 -4.1431 2.0892  -1.26
C2 -3.8067 -3.1478 2.7457  0.77
C3 -2.4881 -3.4633 3.0366  -1.27
C4 -1.6354 -2.5494 3.6454  0.88
C5 -0.2172 -2.9455 3.9658  -1.49
C6 -2.1172 -1.2738 3.9647  0.29
C7 -3.4548 -0.9496 3.7087  1.23
C8 -4.0288 0.4078 4.0219  -1.66
C9 -4.2726 -1.8883 3.0956  -0.66
C10 -1.2262 -0.3226 4.6952  -0.46
C11 -1.4572 -0.2450 6.0689  0.20
C12 -0.6751 0.5502 6.8857  -1.15
C13 0.3773 1.2512 6.3297  0.26
C14 0.6416 1.1778 4.9620  -1.51
C15 -0.1706 0.4087 4.1149  0.56
Ge1 0.0436 0.4535 2.0868  0.41
S1 -1.8984 0.5223 1.1910  -0.73
S2 1.4021 2.1039 1.2553  -0.04
Ge2 2.1997 0.4361 -0.0920  0.04
S3 1.2179 0.1848 -1.9815  -0.75
S4 1.5342 -1.1678 1.4176  -0.29
C16 4.2049 0.5176 -0.3664  -0.37
C17 4.7886 1.6562 -0.9513  -0.24
C18 6.1674 1.7120 -1.1385  0.01
C19 6.9768 0.6410 -0.7989  -1.19
C20 6.4020 -0.5007 -0.2722  -0.17
C21 5.0267 -0.5735 -0.0532  -0.26
C22 4.5028 -1.8474 0.5260  0.18
C23 3.9081 -2.8243 -0.2780  1.90
C24 3.7222 -2.6562 -1.7615  -1.61
C25 3.4803 -4.0132 0.3132  -1.02
C26 3.6350 -4.2539 1.6653  0.92
C27 3.1746 -5.5446 2.2910  -1.55
C28 4.2425 -3.2770 2.4478  -0.70
C29 4.6805 -2.0842 1.8990  0.92
C30 5.3195 -1.0375 2.7737  -1.69
C31 3.9732 2.8050 -1.4413  0.26
C32 3.5509 2.8439 -2.7749  1.16
C33 3.9504 1.7996 -3.7843  -1.27
C34 2.7195 3.8843 -3.1823  -0.97
C35 2.3336 4.8923 -2.3139  0.70
C36 1.3899 5.9788 -2.7503  -1.49
C37 2.8528 4.8886 -1.0231  -1.04
C38 3.6693 3.8633 -0.5755  0.72
C39 4.2534 3.8945 0.8115  -0.70
C40 1.8650 1.9106 4.5209  1.11
C41 1.8192 3.2770 4.2452  0.91
C42 0.5126 4.0233 4.1657  -1.98
C43 3.0035 3.9582 3.9804  -0.07
C44 4.2265 3.3112 3.9835  0.44
C45 5.5099 4.0524 3.7144  -1.76
C46 4.2526 1.9457 4.2443  -0.60
C47 3.0937 1.2317 4.5106  0.72
C48 3.1640 -0.2506 4.7622  -1.78
H1 -4.1699 -4.9995 1.7078  0.32
H2 -5.2587 -3.6830 1.2561  0.04
H3 -5.4687 -4.5100 2.8036  0.38
H4 -2.1043 -4.4434 2.7708  0.26
H5 -0.0988 -4.0285 3.9149  0.52
H6 0.0713 -2.6023 4.9607  0.31
H7 0.4790 -2.5017 3.2522  -0.02
H8 -3.3571 0.9969 4.6417  0.24
H9 -4.9914 0.3112 4.5301  0.52
H10 -4.1828 0.9531 3.0893  0.15
H11 -5.2989 -1.6208 2.8582  0.27
H12 -2.2714 -0.8243 6.4898  0.42
H13 -0.8765 0.6099 7.9491  0.32
H14 1.0198 1.8625 6.9537  0.46
H15 6.5968 2.6039 -1.5816  0.47
H16 8.0475 0.6904 -0.9607  0.37
H17 7.0150 -1.3648 -0.0399  0.51
H18 4.3042 -1.8247 -2.1541  0.23
H19 2.6743 -2.4517 -1.9886  -0.13
H20 4.0070 -3.5697 -2.2883  0.66
H21 2.9983 -4.7592 -0.3110  0.32
H22 2.7142 -6.1944 1.5471  0.35
H23 2.4432 -5.3503 3.0780  0.26
H24 4.0155 -6.0785 2.7402  0.36
H25 4.3599 -3.4481 3.5143  0.27
H26 5.2199 -1.3058 3.8261  0.48
H27 4.8469 -0.0673 2.6092  0.02
H28 6.3816 -0.9301 2.5450  0.50
H29 4.8202 1.2293 -3.4628  0.24
H30 4.1698 2.2653 -4.7469  0.57
H31 3.1228 1.1026 -3.9234  -0.24
H32 2.3445 3.8841 -4.2008  0.30
H33 1.0729 5.8346 -3.7816  0.35
H34 1.8578 6.9634 -2.6613  0.34
H35 0.4933 5.9752 -2.1295  0.31
H36 2.5873 5.6936 -0.3443  0.38
H37 3.9725 4.8155 1.3239  0.46
H38 5.3438 3.8294 0.7712  0.32
H39 3.8879 3.0561 1.4071  -0.29
H40 -0.3227 3.4042 4.4851  0.28
H41 0.3336 4.3177 3.1286  0.26
H42 0.5384 4.9270 4.7783  0.52
H43 2.9575 5.0183 3.7484  0.29
H44 5.3139 5.0930 3.4551  0.36
H45 6.0558 3.5914 2.8888  0.28
H46 6.1590 4.0334 4.5934  0.44
H47 5.2071 1.4278 4.2413  0.37
H48 4.1748 -0.5505 5.0429  0.52